-- begin --
Record 1
6
Properties=species:S:1:pos:R:3 method="wB97M-V/def2-TZVPD" spin_multiplicity=1 e_above_lowest_kcal_mol=40.62 orbital_gap_ev=7.285 homo_energy_ev=-8.7 e_lumo_ev=-1.441
C -0.599 -0.356 -0.449
S 0.980 1.698 -0.195
Br -1.116 -0.831 1.228
Br 1.974 0.377 1.202
H -1.414 0.069 -0.958
H 0.176 -0.957 -0.827



Record 2
55
Properties=species:S:1:pos:R:3 method="wB97M-V/def2-TZVPD" spin_multiplicity=1 e_above_lowest_kcal_mol=34.48 orbital_gap_ev=10.229 homo_energy_ev=-8.6 charge=-1 e_lumo_ev=1.666
O 21.905 1.324 -11.775
C 20.966 1.968 -11.292
O 20.985 3.291 -11.066
B 19.728 3.834 -10.587
O 18.863 2.658 -10.490
C 19.543 1.555 -10.976
O 19.213 0.423 -10.999
O 19.339 4.851 -11.545
C 19.303 5.997 -10.897
O 19.229 7.081 -11.378
C 19.489 5.680 -9.332
O 19.832 4.411 -9.243
O 19.394 6.540 -8.457
O 22.012 -1.725 -12.699
H 21.617 -0.897 -12.424
H 21.513 -1.983 -13.474
O 21.793 7.163 -12.801
H 21.206 7.799 -13.209
H 22.290 7.672 -12.160
O 16.812 -1.016 -12.141
H 16.979 -0.902 -11.205
H 17.433 -1.691 -12.414
O 20.175 -2.264 -8.966
H 21.113 -2.396 -8.829
H 20.053 -1.317 -8.902
O 16.770 0.353 -9.138
H 15.908 0.768 -9.132
H 17.249 0.804 -9.833
O 22.958 1.811 -14.277
H 22.778 1.987 -13.353
H 23.354 0.939 -14.282
O 24.284 3.547 -10.142
H 23.859 3.256 -10.949
H 23.607 4.041 -9.679
O 18.314 9.432 -9.798
H 18.732 8.596 -10.003
H 17.614 9.207 -9.186
O 19.444 0.800 -14.465
H 19.401 0.917 -13.516
H 19.192 1.651 -14.823
O 19.006 5.435 -6.069
H 18.471 4.661 -6.242
H 19.026 5.905 -6.903
O 21.223 2.059 -7.184
H 20.832 1.965 -6.316
H 20.951 2.928 -7.478
O 19.885 5.021 -14.340
H 19.991 5.329 -13.440
H 19.092 4.486 -14.318
O 16.506 6.810 -12.909
H 16.379 7.674 -12.517
H 17.347 6.511 -12.563
O 18.993 9.496 -13.842
H 18.909 8.718 -13.290
H 18.700 9.209 -14.706



Record 3
6
Properties=species:S:1:pos:R:3 method="wB97M-V/def2-TZVPD" spin_multiplicity=3 e_above_lowest_kcal_mol=12.22 orbital_gap_ev="7.589 / 6.551" homo_energy_ev="-8.0 / -7.9" s2=2.04 e_lumo_ev="-0.410 / -1.350"
O -1.292 -0.918 1.226
C 0.005 0.531 -0.014
O 1.241 0.167 0.000
Hg 2.469 0.899 -1.565
Li 0.318 -1.417 0.493
H -0.112 1.642 0.144



Record 4
31
Properties=species:S:1:pos:R:3 method="wB97M-V/def2-TZVPD" spin_multiplicity=1 e_above_lowest_kcal_mol=63.38 orbital_gap_ev=7.706 homo_energy_ev=-7.1 e_lumo_ev=0.588
C -2.649 -1.505 -0.081
C -2.876 -1.121 1.220
C -1.594 -0.714 -0.571
C -1.223 0.159 0.469
C 5.059 0.814 -0.307
C 3.946 0.200 0.079
C 2.650 0.845 0.147
C 1.529 0.232 0.482
C -1.979 0.558 2.810
C -1.172 -1.967 -2.608
C -0.225 2.130 -0.461
N -2.004 -0.156 1.567
N -1.016 -0.762 -1.824
N -0.305 1.144 0.584
Br 1.267 -1.544 0.936
H -3.178 -2.271 -0.610
H -3.610 -1.486 1.914
H 6.001 0.296 -0.349
H 5.063 1.854 -0.590
H 3.972 -0.846 0.357
H 2.622 1.897 -0.099
H -2.819 1.255 2.878
H -2.033 -0.142 3.645
H -1.048 1.120 2.858
H -0.731 -2.849 -2.122
H -2.233 -2.152 -2.770
H -0.692 -1.819 -3.573
H 0.591 2.814 -0.232
H -0.091 1.731 -1.474
H -1.157 2.701 -0.450
H -0.064 -0.415 -1.826



Record 5
57
Properties=species:S:1:pos:R:3 method="wB97M-V/def2-TZVPD" spin_multiplicity=1 e_above_lowest_kcal_mol=9.71 orbital_gap_ev=5.716 homo_energy_ev=-6.8 e_lumo_ev=-1.121
Rh -1.497 0.331 0.661
C 4.275 -1.770 1.734
C 3.131 -1.636 2.506
C 2.019 -0.982 1.996
C 2.049 -0.459 0.707
C 3.202 -0.599 -0.068
C 4.312 -1.250 0.447
P 0.618 0.421 0.039
C 0.467 -0.174 -1.678
C -0.017 0.676 -2.672
C -0.251 0.189 -3.950
C -0.008 -1.144 -4.246
C 0.469 -1.997 -3.259
C 0.700 -1.516 -1.980
C 0.994 2.172 -0.073
C 2.229 2.744 -0.228
C 2.324 4.134 -0.436
C 1.190 4.896 -0.510
C -0.096 4.328 -0.349
C -1.283 5.096 -0.418
C -2.490 4.488 -0.235
C -2.583 3.106 0.056
C -1.469 2.311 0.141
C -0.200 2.941 -0.091
H 5.141 -2.281 2.134
H 3.102 -2.043 3.509
H 1.126 -0.863 2.596
H 3.227 -0.212 -1.080
H 5.203 -1.357 -0.158
H -0.215 1.716 -2.446
H -0.626 0.856 -4.715
H -0.190 -1.520 -5.244
H 0.660 -3.038 -3.485
H 1.074 -2.186 -1.215
H 3.126 2.139 -0.194
H 3.297 4.594 -0.548
H 1.264 5.963 -0.687
H -1.216 6.160 -0.612
H -3.401 5.073 -0.287
-- stop --

Now set down everything above verbatim.

Record 1
6
Properties=species:S:1:pos:R:3 method="wB97M-V/def2-TZVPD" spin_multiplicity=1 e_above_lowest_kcal_mol=40.62 orbital_gap_ev=7.285 homo_energy_ev=-8.7 e_lumo_ev=-1.441
C -0.599 -0.356 -0.449
S 0.980 1.698 -0.195
Br -1.116 -0.831 1.228
Br 1.974 0.377 1.202
H -1.414 0.069 -0.958
H 0.176 -0.957 -0.827



Record 2
55
Properties=species:S:1:pos:R:3 method="wB97M-V/def2-TZVPD" spin_multiplicity=1 e_above_lowest_kcal_mol=34.48 orbital_gap_ev=10.229 homo_energy_ev=-8.6 charge=-1 e_lumo_ev=1.666
O 21.905 1.324 -11.775
C 20.966 1.968 -11.292
O 20.985 3.291 -11.066
B 19.728 3.834 -10.587
O 18.863 2.658 -10.490
C 19.543 1.555 -10.976
O 19.213 0.423 -10.999
O 19.339 4.851 -11.545
C 19.303 5.997 -10.897
O 19.229 7.081 -11.378
C 19.489 5.680 -9.332
O 19.832 4.411 -9.243
O 19.394 6.540 -8.457
O 22.012 -1.725 -12.699
H 21.617 -0.897 -12.424
H 21.513 -1.983 -13.474
O 21.793 7.163 -12.801
H 21.206 7.799 -13.209
H 22.290 7.672 -12.160
O 16.812 -1.016 -12.141
H 16.979 -0.902 -11.205
H 17.433 -1.691 -12.414
O 20.175 -2.264 -8.966
H 21.113 -2.396 -8.829
H 20.053 -1.317 -8.902
O 16.770 0.353 -9.138
H 15.908 0.768 -9.132
H 17.249 0.804 -9.833
O 22.958 1.811 -14.277
H 22.778 1.987 -13.353
H 23.354 0.939 -14.282
O 24.284 3.547 -10.142
H 23.859 3.256 -10.949
H 23.607 4.041 -9.679
O 18.314 9.432 -9.798
H 18.732 8.596 -10.003
H 17.614 9.207 -9.186
O 19.444 0.800 -14.465
H 19.401 0.917 -13.516
H 19.192 1.651 -14.823
O 19.006 5.435 -6.069
H 18.471 4.661 -6.242
H 19.026 5.905 -6.903
O 21.223 2.059 -7.184
H 20.832 1.965 -6.316
H 20.951 2.928 -7.478
O 19.885 5.021 -14.340
H 19.991 5.329 -13.440
H 19.092 4.486 -14.318
O 16.506 6.810 -12.909
H 16.379 7.674 -12.517
H 17.347 6.511 -12.563
O 18.993 9.496 -13.842
H 18.909 8.718 -13.290
H 18.700 9.209 -14.706



Record 3
6
Properties=species:S:1:pos:R:3 method="wB97M-V/def2-TZVPD" spin_multiplicity=3 e_above_lowest_kcal_mol=12.22 orbital_gap_ev="7.589 / 6.551" homo_energy_ev="-8.0 / -7.9" s2=2.04 e_lumo_ev="-0.410 / -1.350"
O -1.292 -0.918 1.226
C 0.005 0.531 -0.014
O 1.241 0.167 0.000
Hg 2.469 0.899 -1.565
Li 0.318 -1.417 0.493
H -0.112 1.642 0.144



Record 4
31
Properties=species:S:1:pos:R:3 method="wB97M-V/def2-TZVPD" spin_multiplicity=1 e_above_lowest_kcal_mol=63.38 orbital_gap_ev=7.706 homo_energy_ev=-7.1 e_lumo_ev=0.588
C -2.649 -1.505 -0.081
C -2.876 -1.121 1.220
C -1.594 -0.714 -0.571
C -1.223 0.159 0.469
C 5.059 0.814 -0.307
C 3.946 0.200 0.079
C 2.650 0.845 0.147
C 1.529 0.232 0.482
C -1.979 0.558 2.810
C -1.172 -1.967 -2.608
C -0.225 2.130 -0.461
N -2.004 -0.156 1.567
N -1.016 -0.762 -1.824
N -0.305 1.144 0.584
Br 1.267 -1.544 0.936
H -3.178 -2.271 -0.610
H -3.610 -1.486 1.914
H 6.001 0.296 -0.349
H 5.063 1.854 -0.590
H 3.972 -0.846 0.357
H 2.622 1.897 -0.099
H -2.819 1.255 2.878
H -2.033 -0.142 3.645
H -1.048 1.120 2.858
H -0.731 -2.849 -2.122
H -2.233 -2.152 -2.770
H -0.692 -1.819 -3.573
H 0.591 2.814 -0.232
H -0.091 1.731 -1.474
H -1.157 2.701 -0.450
H -0.064 -0.415 -1.826



Record 5
57
Properties=species:S:1:pos:R:3 method="wB97M-V/def2-TZVPD" spin_multiplicity=1 e_above_lowest_kcal_mol=9.71 orbital_gap_ev=5.716 homo_energy_ev=-6.8 e_lumo_ev=-1.121
Rh -1.497 0.331 0.661
C 4.275 -1.770 1.734
C 3.131 -1.636 2.506
C 2.019 -0.982 1.996
C 2.049 -0.459 0.707
C 3.202 -0.599 -0.068
C 4.312 -1.250 0.447
P 0.618 0.421 0.039
C 0.467 -0.174 -1.678
C -0.017 0.676 -2.672
C -0.251 0.189 -3.950
C -0.008 -1.144 -4.246
C 0.469 -1.997 -3.259
C 0.700 -1.516 -1.980
C 0.994 2.172 -0.073
C 2.229 2.744 -0.228
C 2.324 4.134 -0.436
C 1.190 4.896 -0.510
C -0.096 4.328 -0.349
C -1.283 5.096 -0.418
C -2.490 4.488 -0.235
C -2.583 3.106 0.056
C -1.469 2.311 0.141
C -0.200 2.941 -0.091
H 5.141 -2.281 2.134
H 3.102 -2.043 3.509
H 1.126 -0.863 2.596
H 3.227 -0.212 -1.080
H 5.203 -1.357 -0.158
H -0.215 1.716 -2.446
H -0.626 0.856 -4.715
H -0.190 -1.520 -5.244
H 0.660 -3.038 -3.485
H 1.074 -2.186 -1.215
H 3.126 2.139 -0.194
H 3.297 4.594 -0.548
H 1.264 5.963 -0.687
H -1.216 6.160 -0.612
H -3.401 5.073 -0.287